Three years ago, The Marvel Cinematic Universe (MCU) expanded into television with its first limited series WandaVision. The show took viewers on a journey through different eras of television as Wanda (Elizabeth Olsen; Doctor Strange in the Multiverse of Madness) and Vision (Paul Bettany; Avengers: Infinity War) seemed to live an ideal suburban life. However, things weren't what they appeared, and their neighbor Agnes (Kathryn Hahn; Bad Moms) was hiding much more than we realized. Fast forward three years, and now we get to explore what became of Agnes in the new Disney+ limited series, Agatha All Along.
This time, Agnes, now fully revealed as Agatha Harkness is living a very different life. She's a detective on the local police force, working on a homicide case when strange things start to happen. As she digs deeper into the mystery, memories of her past life begin to surface. The arrival of FBI Agent Rio Vidal (Aubrey Plaza; Emily the Criminal) complicates things further. Suddenly Agatha teams up with Jennifer (Sasheer Zamata; I Feel Pretty), Alice (Ali Ann; Billions), Teen (Joe Locke; Heartstopper), and Lilia (Patti LuPone; Beau is Afraid), as they embark on a dark journey to uncover the truth, that is filled with dangerous secrets.
The cast is simply fantastic. Kathryn Hahn once again dominates the screen, balancing Agatha's charm and cunning. Patti LuPone is a fantastic addition, bringing her seasoned experience to the role. Aubrey Plaza looks like she is having a blast playing her character and Joe Locke, though a newcomer, holds his own alongside such a talented ensemble.
_Materials data that have nothing to do with the article_
=====
Record 1
## Ba3ReN3 (r²SCAN)

Data for Ba3ReN3 after structural relaxation.

Cell lengths 8.250, 8.250, 5.760 Å; angles 90.00, 90.00, 120.00 degrees
Atoms (fractional coordinates):
1 Ba 0.100 0.359 0.250
2 Ba 0.259 0.900 0.250
3 Ba 0.359 0.259 0.750
4 Ba 0.641 0.741 0.250
5 Ba 0.741 0.100 0.750
6 Ba 0.900 0.641 0.750
7 Re 0.333 0.667 0.750
8 Re 0.667 0.333 0.250
9 N 0.119 0.438 0.750
10 N 0.319 0.881 0.750
11 N 0.438 0.319 0.250
12 N 0.562 0.681 0.750
13 N 0.681 0.119 0.250
14 N 0.881 0.562 0.250

Electronic total energy ... -23.5347 eV per atom
Space group ... P6_3/m (176)

Record 2
## BaThN2 (r²SCAN)

Data for BaThN2 after structural relaxation.

Cell lengths 3.764, 3.764, 12.905 Å; angles 90.00, 90.00, 120.00 degrees
Atoms (fractional coordinates):
1 Ba 0.333 0.667 0.250
2 Ba 0.667 0.333 0.750
3 Th 0.000 0.000 0.000
4 Th 0.000 0.000 0.500
5 N 0.333 0.667 0.598
6 N 0.333 0.667 0.902
7 N 0.667 0.333 0.098
8 N 0.667 0.333 0.402

Electronic total energy ... -30.9771 eV per atom
Space group ... P6_3/mmc (194)

Record 3
## Ba2VN3 (r²SCAN)

Data for Ba2VN3 after structural relaxation.

Cell lengths 6.540, 6.540, 13.058 Å; angles 90.00, 90.00, 126.27 degrees
Atoms (fractional coordinates):
1 Ba 0.056 0.944 0.855
2 Ba 0.141 0.859 0.422
3 Ba 0.359 0.641 0.922
4 Ba 0.444 0.556 0.355
5 Ba 0.556 0.444 0.645
6 Ba 0.641 0.359 0.078
7 Ba 0.859 0.141 0.578
8 Ba 0.944 0.056 0.145
9 V 0.244 0.756 0.668
10 V 0.256 0.744 0.168
11 V 0.744 0.256 0.832
12 V 0.756 0.244 0.332
13 N 0.025 0.475 0.750
14 N 0.095 0.905 0.634
15 N 0.167 0.833 0.058
16 N 0.333 0.667 0.558
17 N 0.405 0.595 0.134
18 N 0.475 0.025 0.250
19 N 0.525 0.975 0.750
20 N 0.595 0.405 0.866
21 N 0.667 0.333 0.442
22 N 0.833 0.167 0.942
23 N 0.905 0.095 0.366
24 N 0.975 0.525 0.250

Electronic total energy ... -16.9915 eV per atom
Space group ... Cmce (64)

Record 4
## Ba3WN4 (r²SCAN)

Data for Ba3WN4 after structural relaxation.

Cell lengths 10.490, 12.272, 10.957 Å; angles 90.00, 90.00, 90.00 degrees
Atoms (fractional coordinates):
1 Ba 0.032 0.106 0.125
2 Ba 0.032 0.394 0.625
3 Ba 0.124 0.643 0.030
4 Ba 0.124 0.857 0.530
5 Ba 0.200 0.119 0.723
6 Ba 0.200 0.381 0.223
7 Ba 0.300 0.619 0.723
8 Ba 0.300 0.881 0.223
9 Ba 0.376 0.143 0.030
10 Ba 0.376 0.357 0.530
11 Ba 0.468 0.606 0.125
12 Ba 0.468 0.894 0.625
13 Ba 0.532 0.106 0.375
14 Ba 0.532 0.394 0.875
15 Ba 0.624 0.643 0.470
16 Ba 0.624 0.857 0.970
17 Ba 0.700 0.119 0.777
18 Ba 0.700 0.381 0.277
19 Ba 0.800 0.619 0.777
20 Ba 0.800 0.881 0.277
21 Ba 0.876 0.143 0.470
22 Ba 0.876 0.357 0.970
23 Ba 0.968 0.606 0.375
24 Ba 0.968 0.894 0.875
25 W 0.200 0.114 0.404
26 W 0.200 0.386 0.904
27 W 0.300 0.614 0.404
28 W 0.300 0.886 0.904
29 W 0.700 0.114 0.096
30 W 0.700 0.386 0.596
31 W 0.800 0.614 0.096
32 W 0.800 0.886 0.596
33 N 0.075 0.016 0.348
34 N 0.075 0.484 0.848
35 N 0.122 0.219 0.503
36 N 0.122 0.281 0.003
37 N 0.188 0.537 0.506
38 N 0.188 0.963 0.006
39 N 0.210 0.677 0.273
40 N 0.210 0.823 0.773
41 N 0.290 0.177 0.273
42 N 0.290 0.323 0.773
=====
_Here the article continues_
From its first scene, Agatha All Along establishes itself as something different from WandaVision. The tone has noticeably changed and is more mysterious. Early on, viewers may feel disconnected from the playful nature of WandaVision, but as the episodes progress, connections to the original series begin to emerge. Some stylistic choices, such as the retro-themed set pieces, may catch audiences off guard as the audience is jolted into these themes.
Kathryn Hahn is, of course, the heart of this series, and her portrayal of Agatha Harkness is simply captivating. The show's pacing has its moments of ebb and flow, but if you stay with it, you won't be disappointed. The first two episodes set up a strong foundation, hinting at larger conflicts and twists to come in the future. It's a solid start for the series that could be a hit depending on how the rest of the season plays out. Regardless, it has something for everyone - from the casual MCU viewer to the hardcore Marvel fans.
While Agatha All Along doesn't lean heavily into the larger Marvel Cinematic Universe, it allows room for the story to expand in its own direction. Marvel Television is trying to carve out a unique space with this show, and if it doesn't jump the shark, it could be one of its most intriguing MCU endeavors yet.
The series consists of nine episodes, with the first two episodes premiering tonight, September 18, 2024, followed by one new episode each week.
Grade: B+